U.S. Government Leads New Action Plan for Children Facing Adversity

Thirty percent of the world’s children do not reach their developmental potential due to poverty, disease, conflict and disaster

For Immediate Release

Wednesday, December 19, 2012
USAID Press Office

== The piece is interrupted by quantum chemistry results ==
┌──
C42H55CaClNO2P2S2Si as an isolated structure at a distorted geometry, computed with ωB97M-V/def2-TZVPD.

Geometry (Å):
Ca -6.22475 -21.13711 -5.63128
C -13.10807 -23.80221 -4.66427
C -11.85683 -24.40744 -4.51027
C -10.71361 -23.79209 -4.98869
C -10.78968 -22.57082 -5.65343
C -12.03826 -21.94762 -5.77010
C -13.18868 -22.56473 -5.29616
P -9.17966 -21.90741 -6.17799
C -9.46581 -20.11429 -6.27498
C -10.00903 -19.48517 -5.14486
C -10.15483 -18.11199 -5.12818
C -9.69599 -17.35432 -6.20357
C -9.14692 -17.98641 -7.30997
C -9.04183 -19.36501 -7.36414
C -9.08108 -22.49531 -7.90837
C -10.11449 -23.15117 -8.48647
C -9.98466 -23.72011 -9.77617
C -8.79630 -23.59797 -10.42315
C -7.70596 -22.91125 -9.83963
C -6.46931 -22.81964 -10.53274
C -5.44201 -22.14753 -9.96436
C -5.60578 -21.56012 -8.66380
C -6.75250 -21.61925 -7.92807
C -7.83237 -22.33454 -8.57831
H -13.99393 -24.30241 -4.29682
H -11.78405 -25.39113 -4.02315
H -9.78320 -24.29687 -4.81201
H -12.08909 -20.98760 -6.27115
H -14.15633 -22.08243 -5.37141
H -10.38599 -20.08006 -4.32112
H -10.58827 -17.65442 -4.25263
H -9.81050 -16.29669 -6.21984
H -8.78932 -17.38923 -8.16068
H -8.65217 -19.85474 -8.25261
H -11.02081 -23.26709 -7.93462
H -10.79167 -24.32560 -10.17980
H -8.63014 -24.10175 -11.36202
H -6.37395 -23.31094 -11.49128
H -4.48584 -22.07241 -10.49273
H -4.74085 -21.03992 -8.24874
C -3.65926 -15.83298 -4.26395
C -3.24211 -15.65847 -5.70621
C -4.46754 -15.36533 -6.55014
O -2.49433 -16.74809 -6.26804
P -2.47295 -18.30035 -5.82808
S -1.58363 -18.56422 -4.10769
S -4.32120 -19.04059 -6.10197
O -1.60841 -18.84762 -7.05446
C -2.11606 -18.62857 -8.40020
C -1.36167 -17.45633 -8.97585
C -1.99510 -19.93343 -9.14725
H -4.17915 -14.90847 -3.94437
H -2.83295 -15.99078 -3.58468
H -4.36387 -16.65829 -4.11452
H -2.57495 -14.81541 -5.76729
H -5.20155 -16.19955 -6.53166
H -4.22762 -15.19429 -7.60153
H -4.99942 -14.47303 -6.19690
H -3.18556 -18.33280 -8.32957
H -0.26309 -17.63831 -9.05173
H -1.49351 -16.55035 -8.36751
H -1.78461 -17.21843 -9.97078
H -0.96625 -20.17408 -9.37126
H -2.56943 -19.89798 -10.08336
H -2.39453 -20.70900 -8.51886
Cl -9.43422 -19.99018 -0.47486
C -8.13399 -19.49022 -1.49094
C -7.33539 -18.42573 -1.10054
C -6.34302 -18.04031 -1.99573
C -6.16103 -18.74317 -3.17139
N -6.93897 -19.76234 -3.52509
C -7.91099 -20.12640 -2.68958
H -7.52422 -17.90747 -0.16023
H -5.73032 -17.19690 -1.74298
H -5.35998 -18.51065 -3.86966
H -8.47851 -20.99878 -3.00166
C -5.21136 -25.07141 -5.09019
Si -5.18051 -23.44132 -4.05140
C -5.99279 -23.97323 -2.34893
C -5.71738 -22.93028 -1.27751
C -7.50766 -24.10097 -2.53939
C -5.46562 -25.33309 -1.88059
C -3.24848 -23.14347 -3.74014
C -2.89423 -21.83867 -3.00647
C -2.48371 -24.30113 -3.06672
C -2.63133 -22.97348 -5.13528
H -4.59594 -25.90529 -4.75412
H -4.87427 -24.82345 -6.11543
H -6.24028 -25.43073 -5.11086
H -5.84544 -21.90519 -1.62721
H -4.73116 -23.00626 -0.82803
H -6.42034 -23.03451 -0.43681
H -7.93982 -23.13245 -2.88094
H -7.96404 -24.37848 -1.59943
H -7.76668 -24.84454 -3.31398
└──

Washington, DC (December 19, 2012) – Today at the White House, the U.S. Government released its first-ever Action Plan on Children in Adversity. The Plan is grounded in evidence that shows a promising future belongs to those nations that invest wisely in their children, while failure to do so undermines social and economic progress. According to the Plan, “Child development is a cornerstone for all development, and it is central to U.S. development and diplomatic efforts.” 

The goal of the Plan is to achieve a world where all children survive, grow up within protective family care, and are free from deprivation, exploitation and danger. The Plan provides overarching policy and guidance for U.S. international assistance.  By expanding beyond single vulnerabilities to coordinated, multifaceted action, we will better address the needs of children living in adversity. 

Research shows that children who experience violence or are exploited, abandoned, abused, or severely neglected (in or out of families) face significant threats to their survival and well-being, as well as profound risks that have an impact on human, social, and economic development. Children in the most dire straits include those without protective family care or living in abusive households, living on the streets or in institutions, trafficked, participating in armed groups, and/or exploited for their labor. Many more live within fragile families and face a multitude of risks posed by extreme poverty, disease, disability, conflict, and disaster.

“The science is clear – childhood experiences shape adult outcomes, including long-term health, cognitive development, academic achievement, and one’s ability to be gainfully and safely employed,” says Dr. Neil Boothsby, U.S. Government Special Advisor on Children in Adversity.  “If we are serious about change, really breaking through cycles of poverty and inequality, we must start early.”

The Plan has three principle objectives: build strong beginnings, put family care first, and protect children from violence, exploitation, abuse, and neglect.  It identifies existing programs that work and that can be taken to scale. Within five years, the Plan calls for significant reductions in the number of children not meeting age-appropriate growth and developmental milestones; children living outside of family care; and children who experience violence or exploitation.

The United States’ sustained commitment through investments and partnerships has resulted in important initiatives that have increased the impact of foreign assistance in many key areas, including impressive gains in child survival. The National Action Plan on Children in Adversity builds upon these successes and creates an integrated framework to help children survive and thrive.

U.S. international assistance to children is substantial and channeled through more than 30 offices in seven U.S. Government departments and agencies – the Departments of Agriculture, Defense, Health and Human Services, and Labor, and State; the U.S. Agency for International Development, and Peace Corps – in more than 100 countries.  This Plan, which has input from all the participating agencies, provides overarching guidance and coordination for U.S. international assistance to children.

The Action Plan has been endorsed by more than 100 civil society and faith-based organizations, represented by the Children in Adversity Policy Partnership. A public-private partnership is being formed to mobilize resources to meet the objectives of the Plan.